Source =
********
Version i
{"formula": "C4H8NO2", "method": "ωB97M-V with the def2-TZVPD basis set", "lumo_ev": 3.01, "charge": -1, "e_homo_ha": -0.121, "elements": ["C", "N", "C", "C", "C", "O", "O", "H", "H", "H", "H", "H", "H", "H", "H"], "coordinates": [[1.0216, 0.8744, -0.8819], [-0.4435, 0.7592, -0.1270], [2.0439, 0.3907, 0.2145], [-0.9017, -0.5189, -0.1670], [-2.2343, -0.8386, 0.5067], [-2.7624, -2.0534, 0.3212], [1.2099, 0.3010, -2.0226], [1.0306, 1.9887, -0.9270], [3.0487, 0.6853, -0.0539], [1.8186, -0.6399, 0.4840], [1.7633, 1.0146, 1.0802], [-0.0721, -0.1858, 0.6796], [-0.4829, -1.1241, -0.9740], [-2.1081, -0.6350, 1.6274], [-2.9316, -0.0182, 0.2399]]}

***

Version ii
{"formula": "C4H8NO2", "method": "ωB97M-V with the def2-TZVPD basis set", "lumo_ev": 4.01, "charge": -1, "e_homo_ha": -0.150, "elements": ["O", "C", "O", "H", "C", "C", "C", "N", "H", "H", "H", "H", "H", "H", "H"], "coordinates": [[-2.0788, -0.5139, -1.1143], [-1.7825, -1.6645, -0.7401], [-0.7026, -2.0891, -0.2723], [-2.6238, -2.4163, -0.7618], [-0.4764, 1.8108, 0.9017], [0.5241, 0.6839, 0.7517], [2.7242, 0.3826, 0.0592], [1.7329, 1.1536, 0.0492], [-1.4023, 1.4504, 1.3614], [-0.0731, 2.6298, 1.5004], [-0.7675, 2.2000, -0.0717], [0.0887, -0.1169, 0.1499], [0.8276, 0.2921, 1.7274], [2.7093, -0.5746, 0.5756], [3.6240, 0.6886, -0.4756]]}

***

Version iii
{"formula": "C4H8NO2", "method": "ωB97M-V with the def2-TZVPD basis set", "lumo_ev": 3.91, "smiles": "N[C@@H](C=O)CC[O-]", "charge": -1, "e_homo_ha": -0.097, "elements": ["N", "C", "C", "O", "C", "C", "O", "H", "H", "H", "H", "H", "H", "H", "H"], "coordinates": [[0.1896, -1.4661, 1.4756], [0.0164, -0.6120, 0.3039], [-1.3964, -0.4747, -0.2155], [-2.3678, -0.3942, 0.5104], [0.6746, 0.7476, 0.3432], [0.6128, 1.2650, -1.1734], [1.1742, 0.4078, -2.0439], [-0.5178, -1.3135, 2.1987], [0.0537, -2.4364, 1.2135], [0.6790, -1.0960, -0.4263], [-1.4973, -0.6307, -1.3119], [0.1609, 1.5636, 0.9009], [1.6917, 0.8047, 0.7365], [0.9994, 2.3306, -1.1288], [-0.4730, 1.3043, -1.3828]]}

***

Version iv
{"formula": "C4H8NO2", "method": "ωB97M-V with the def2-TZVPD basis set", "lumo_ev": 4.05, "smiles": "CC1(C)NO[C@@H]1[O-]", "charge": -1, "e_homo_ha": -0.099, "elements": ["C", "C", "C", "N", "O", "C", "O", "H", "H", "H", "H", "H", "H", "H", "H"], "coordinates": [[-1.2083, -0.5543, 0.6909], [0.0539, 0.0637, 0.0450], [1.2235, -0.2537, 0.9239], [-0.3278, 1.4520, -0.2517], [-0.4664, 1.3243, -1.6258], [0.0486, -0.2414, -1.5553], [-0.7053, -1.1166, -2.0183], [-1.9891, -0.5994, -0.1362], [-1.5502, 0.3483, 1.4205], [-1.1577, -1.4124, 1.4074], [0.8989, -0.1404, 1.9131], [2.1997, 0.2272, 0.8766], [1.4372, -1.2624, 0.5406], [0.4182, 2.2019, -0.1320], [1.1247, -0.0367, -2.0988]]}

***

We find version ii to be the most stable, with the next structure 36.9 kcal/mol higher.

***

Version i
{"formula": "C4H12N4", "method": "ωB97M-V with the def2-TZVPD basis set", "lumo_ev": [0.21, 0.21], "charge": 0, "e_homo_ha": [-0.289, -0.289], "elements": ["C", "N", "N", "N", "N", "H", "H", "H", "H", "H", "H", "C", "C", "C", "H", "H", "H", "H", "H", "H"], "coordinates": [[-0.8762, -0.7654, -2.0405], [-0.3354, 0.5679, -1.8208], [-1.3253, 1.5368, -1.5933], [0.7392, 0.5766, -0.9333], [1.2463, 1.7216, -0.7127], [-0.8860, 2.4270, -1.3809], [-1.8670, 1.2498, -0.7746], [2.1997, 1.5977, -0.3672], [-1.3925, -1.1133, -1.1393], [-1.5818, -0.7139, -2.8679], [-0.0653, -1.4543, -2.2841], [1.1388, 0.1418, 2.2809], [0.3285, -0.6133, 1.3005], [-0.5102, -1.6114, 1.5541], [0.7920, -0.4058, -0.1531], [2.0212, -0.4198, 2.6093], [0.5549, 0.3640, 3.1811], [1.4898, 1.0916, 1.8396], [-1.1323, -2.0574, 0.7815], [-0.5383, -2.1201, 2.5206]]}

***

Version ii
********

Activity =
Reproduce only the lines further up with the word "stable" in them.

Here it is =
We find version ii to be the most stable, with the next structure 36.9 kcal/mol higher.